_Request_
Next, type out the block below exactly.
_Data_
[1]
This record from Materials Project describes a relaxed structure of CaCu3O4. The functional is r²SCAN.

```
CaCu3O4
1.0
5.542 0.000 0.000
0.000 5.542 0.000
0.000 0.000 5.542
Ca Cu O
2 6 8
Direct
0.000 0.000 0.000
0.500 0.500 0.500
0.000 0.250 0.500
0.000 0.750 0.500
0.250 0.500 0.000
0.500 0.000 0.250
0.500 0.000 0.750
0.750 0.500 0.000
0.250 0.250 0.250
0.250 0.250 0.750
0.250 0.750 0.250
0.250 0.750 0.750
0.750 0.250 0.250
0.750 0.250 0.750
0.750 0.750 0.250
0.750 0.750 0.750
```

Summary:
Size of the total moment ... 0.00 μB/atom
Total energy ... -149.31 eV for the cell shown

[2]
This record from Materials Project describes a relaxed structure of Ca2Cu2O5. The functional is r²SCAN.

```
Ca2Cu2O5
1.0
10.399 0.000 0.000
0.000 3.523 0.000
0.000 0.000 12.688
Ca Cu O
8 8 20
Direct
0.046 0.176 0.000
0.204 0.175 0.334
0.296 0.675 0.834
0.454 0.676 0.500
0.546 0.324 0.000
0.704 0.325 0.334
0.796 0.825 0.834
0.954 0.824 0.500
0.013 0.359 0.716
0.238 0.138 0.621
0.262 0.638 0.121
0.487 0.859 0.216
0.513 0.141 0.716
0.738 0.362 0.621
0.762 0.862 0.121
0.987 0.641 0.216
0.058 0.674 0.347
0.082 0.336 0.582
0.124 0.363 0.168
0.168 0.157 0.755
0.192 0.673 0.990
0.308 0.173 0.490
0.332 0.657 0.255
0.376 0.863 0.668
0.418 0.836 0.082
0.442 0.174 0.847
0.558 0.826 0.347
0.582 0.164 0.582
0.624 0.137 0.168
0.668 0.343 0.755
0.692 0.827 0.990
0.808 0.327 0.490
0.832 0.843 0.255
0.876 0.637 0.668
0.918 0.664 0.082
0.942 0.326 0.847
```

Summary:
Size of the total moment ... 0.00 μB/atom
Total energy ... -330.26 eV for the cell shown

[3]
This record from Materials Project describes a relaxed structure of CaCuO2. The functional is r²SCAN.

```
CaCuO2
1.0
3.838 0.000 0.000
0.000 3.838 0.000
0.000 0.000 3.165
Ca Cu O
1 1 2
Direct
0.000 0.000 0.000
0.500 0.500 0.500
0.000 0.500 0.500
0.500 0.000 0.500
```

Summary:
Size of the total moment ... 0.04 μB/atom
Total energy ... -37.86 eV for the cell shown

[4]
This record from Materials Project describes a relaxed structure of Ca2CuO3. The functional is r²SCAN.

```
Ca2CuO3
1.0
-1.628 1.894 6.068
1.628 -1.894 6.068
1.628 1.894 -6.068
Ca Cu O
2 1 3
Direct
0.149 0.149 0.000
0.851 0.851 0.000
0.500 0.500 0.000
0.000 0.500 0.500
0.340 0.340 0.000
0.660 0.660 0.000
```

Summary:
Size of the total moment ... 0.04 μB/atom
Total energy ... -57.34 eV for the cell shown

[5]
This record from Materials Project describes a relaxed structure of CaCuP2O7. The functional is r²SCAN.

```
CaCuP2O7
1.0
5.229 0.000 0.000
0.000 8.025 0.000
-4.918 0.000 12.291
Ca Cu P O
4 4 8 28
Direct
0.011 0.177 0.223
0.011 0.323 0.723
0.989 0.677 0.277
0.989 0.823 0.777
0.315 0.640 0.611
0.315 0.860 0.111
0.685 0.140 0.889
0.685 0.360 0.389
0.326 0.201 0.015
0.326 0.299 0.515
0.410 0.028 0.664
0.410 0.472 0.164
0.590 0.528 0.836
0.590 0.972 0.336
0.674 0.701 0.485
0.674 0.799 0.985
0.116 0.185 0.902
0.116 0.315 0.402
0.178 0.044 0.705
0.178 0.456 0.205
0.252 0.102 0.099
0.252 0.398 0.599
0.311 0.106 0.545
0.311 0.394 0.045
0.330 0.623 0.766
0.330 0.877 0.266
0.374 0.665 0.472
0.374 0.835 0.972
0.496 0.650 0.154
0.496 0.850 0.654
0.504 0.150 0.346
0.504 0.350 0.846
0.626 0.165 0.028
0.626 0.335 0.528
0.670 0.123 0.734
0.670 0.377 0.234
0.689 0.606 0.955
0.689 0.894 0.455
0.748 0.602 0.401
0.748 0.898 0.901
0.822 0.544 0.795
0.822 0.956 0.295
0.884 0.685 0.598
0.884 0.815 0.098
```

Summary:
Size of the total moment ... 0.09 μB/atom
Total energy ... -418.44 eV for the cell shown

[6]
This record from Materials Project describes a relaxed structure of Ca3Cu3P4O16. The functional is r²SCAN.

```
Ca3Cu3P4O16
1.0
8.902 0.000 0.000
0.000 4.887 0.000
-7.821 0.000 14.602
Ca Cu P O
6 6 8 32
Direct
0.000 0.000 0.000
0.000 0.500 0.500
0.304 0.035 0.265
0.304 0.465 0.765
0.696 0.535 0.235
0.696 0.965 0.735
0.205 0.530 0.380
0.205 0.970 0.880
0.500 0.000 0.500
0.500 0.500 0.000
0.795 0.030 0.120
0.795 0.470 0.620
0.036 0.517 0.160
0.036 0.983 0.660
0.437 0.511 0.594
0.437 0.989 0.094
0.563 0.011 0.906
0.563 0.489 0.406
0.964 0.017 0.340
_Solution_
[1]
This record from Materials Project describes a relaxed structure of CaCu3O4. The functional is r²SCAN.

```
CaCu3O4
1.0
5.542 0.000 0.000
0.000 5.542 0.000
0.000 0.000 5.542
Ca Cu O
2 6 8
Direct
0.000 0.000 0.000
0.500 0.500 0.500
0.000 0.250 0.500
0.000 0.750 0.500
0.250 0.500 0.000
0.500 0.000 0.250
0.500 0.000 0.750
0.750 0.500 0.000
0.250 0.250 0.250
0.250 0.250 0.750
0.250 0.750 0.250
0.250 0.750 0.750
0.750 0.250 0.250
0.750 0.250 0.750
0.750 0.750 0.250
0.750 0.750 0.750
```

Summary:
Size of the total moment ... 0.00 μB/atom
Total energy ... -149.31 eV for the cell shown

[2]
This record from Materials Project describes a relaxed structure of Ca2Cu2O5. The functional is r²SCAN.

```
Ca2Cu2O5
1.0
10.399 0.000 0.000
0.000 3.523 0.000
0.000 0.000 12.688
Ca Cu O
8 8 20
Direct
0.046 0.176 0.000
0.204 0.175 0.334
0.296 0.675 0.834
0.454 0.676 0.500
0.546 0.324 0.000
0.704 0.325 0.334
0.796 0.825 0.834
0.954 0.824 0.500
0.013 0.359 0.716
0.238 0.138 0.621
0.262 0.638 0.121
0.487 0.859 0.216
0.513 0.141 0.716
0.738 0.362 0.621
0.762 0.862 0.121
0.987 0.641 0.216
0.058 0.674 0.347
0.082 0.336 0.582
0.124 0.363 0.168
0.168 0.157 0.755
0.192 0.673 0.990
0.308 0.173 0.490
0.332 0.657 0.255
0.376 0.863 0.668
0.418 0.836 0.082
0.442 0.174 0.847
0.558 0.826 0.347
0.582 0.164 0.582
0.624 0.137 0.168
0.668 0.343 0.755
0.692 0.827 0.990
0.808 0.327 0.490
0.832 0.843 0.255
0.876 0.637 0.668
0.918 0.664 0.082
0.942 0.326 0.847
```

Summary:
Size of the total moment ... 0.00 μB/atom
Total energy ... -330.26 eV for the cell shown

[3]
This record from Materials Project describes a relaxed structure of CaCuO2. The functional is r²SCAN.

```
CaCuO2
1.0
3.838 0.000 0.000
0.000 3.838 0.000
0.000 0.000 3.165
Ca Cu O
1 1 2
Direct
0.000 0.000 0.000
0.500 0.500 0.500
0.000 0.500 0.500
0.500 0.000 0.500
```

Summary:
Size of the total moment ... 0.04 μB/atom
Total energy ... -37.86 eV for the cell shown

[4]
This record from Materials Project describes a relaxed structure of Ca2CuO3. The functional is r²SCAN.

```
Ca2CuO3
1.0
-1.628 1.894 6.068
1.628 -1.894 6.068
1.628 1.894 -6.068
Ca Cu O
2 1 3
Direct
0.149 0.149 0.000
0.851 0.851 0.000
0.500 0.500 0.000
0.000 0.500 0.500
0.340 0.340 0.000
0.660 0.660 0.000
```

Summary:
Size of the total moment ... 0.04 μB/atom
Total energy ... -57.34 eV for the cell shown

[5]
This record from Materials Project describes a relaxed structure of CaCuP2O7. The functional is r²SCAN.

```
CaCuP2O7
1.0
5.229 0.000 0.000
0.000 8.025 0.000
-4.918 0.000 12.291
Ca Cu P O
4 4 8 28
Direct
0.011 0.177 0.223
0.011 0.323 0.723
0.989 0.677 0.277
0.989 0.823 0.777
0.315 0.640 0.611
0.315 0.860 0.111
0.685 0.140 0.889
0.685 0.360 0.389
0.326 0.201 0.015
0.326 0.299 0.515
0.410 0.028 0.664
0.410 0.472 0.164
0.590 0.528 0.836
0.590 0.972 0.336
0.674 0.701 0.485
0.674 0.799 0.985
0.116 0.185 0.902
0.116 0.315 0.402
0.178 0.044 0.705
0.178 0.456 0.205
0.252 0.102 0.099
0.252 0.398 0.599
0.311 0.106 0.545
0.311 0.394 0.045
0.330 0.623 0.766
0.330 0.877 0.266
0.374 0.665 0.472
0.374 0.835 0.972
0.496 0.650 0.154
0.496 0.850 0.654
0.504 0.150 0.346
0.504 0.350 0.846
0.626 0.165 0.028
0.626 0.335 0.528
0.670 0.123 0.734
0.670 0.377 0.234
0.689 0.606 0.955
0.689 0.894 0.455
0.748 0.602 0.401
0.748 0.898 0.901
0.822 0.544 0.795
0.822 0.956 0.295
0.884 0.685 0.598
0.884 0.815 0.098
```

Summary:
Size of the total moment ... 0.09 μB/atom
Total energy ... -418.44 eV for the cell shown

[6]
This record from Materials Project describes a relaxed structure of Ca3Cu3P4O16. The functional is r²SCAN.

```
Ca3Cu3P4O16
1.0
8.902 0.000 0.000
0.000 4.887 0.000
-7.821 0.000 14.602
Ca Cu P O
6 6 8 32
Direct
0.000 0.000 0.000
0.000 0.500 0.500
0.304 0.035 0.265
0.304 0.465 0.765
0.696 0.535 0.235
0.696 0.965 0.735
0.205 0.530 0.380
0.205 0.970 0.880
0.500 0.000 0.500
0.500 0.500 0.000
0.795 0.030 0.120
0.795 0.470 0.620
0.036 0.517 0.160
0.036 0.983 0.660
0.437 0.511 0.594
0.437 0.989 0.094
0.563 0.011 0.906
0.563 0.489 0.406
0.964 0.017 0.340